The smartphone has integrated itself into our lives so thoroughly that many of us would feel naked leaving the house without it. Consumer Reports notes that a recent International Data Corp. survey of smartphone owners found that 79 percent keep their device with them for all but two of their waking hours.
Misplaced records of molecules.
A structure of composition C57H33Br3O8 at a distorted geometry. Source: the OMol25 dataset; level of theory: ωB97M-V with the def2-TZVPD basis set.

Element x y z (Å)
Br (-26.0635, -9.8739, 5.0055)
Br (-28.0110, -11.9517, 3.2568)
Br (-27.4315, -9.0859, 2.0517)
O (-17.5275, -18.2143, 9.9380)
O (-22.4324, -18.0987, 7.5119)
O (-17.2510, 0.7598, -2.5995)
O (-27.8779, -17.2257, 14.1041)
O (-29.1909, -0.3297, 4.9795)
O (-28.5043, -12.4732, 11.6199)
O (-32.3568, 0.9497, 9.2085)
O (-20.5788, 1.3411, 1.4339)
C (-30.2684, 1.4722, 6.2140)
C (-27.8937, -12.4064, 14.3245)
C (-30.9000, -1.4435, 9.3337)
C (-30.8214, -0.6264, 8.1775)
C (-30.0165, -0.9557, 7.0518)
C (-19.1604, -19.4132, 8.4873)
C (-28.4264, -13.5223, 12.1907)
C (-20.4485, -19.3359, 7.8907)
C (-19.8720, -2.4408, -1.7031)
C (-21.0138, -14.7279, 9.5227)
C (-30.0956, 3.8368, 6.0240)
C (-30.7148, 4.1038, 7.1359)
C (-18.8321, -0.2779, -1.1912)
C (-18.5578, -18.2138, 9.2828)
C (-17.7482, 2.0461, -0.7070)
C (-20.6613, -16.9373, 8.5461)
C (-17.2782, 4.1076, 1.1435)
C (-31.2182, 3.0927, 7.8532)
C (-20.7520, -1.0020, 0.0446)
C (-27.3242, -14.8436, 15.5926)
C (-28.0013, -13.5789, 13.6287)
C (-29.4313, -15.9210, 9.4415)
C (-29.7284, 2.5733, 5.5791)
C (-19.7517, 1.2432, 0.6336)
C (-29.1388, -14.8083, 10.1576)
C (-28.7567, -17.2911, 11.3335)
C (-28.7095, -14.8641, 11.4814)
C (-18.9760, -21.8082, 8.0143)
C (-16.4745, 3.9349, -0.0029)
C (-17.9036, 0.8366, -1.5834)
C (-18.8926, -1.5356, -1.8722)
C (-20.3474, -21.7199, 7.5836)
C (-19.8033, -14.8521, 10.1903)
C (-27.5956, -9.9788, 3.7596)
C (-28.5178, -16.1096, 12.1096)
C (-16.7000, 2.9512, -0.9005)
C (-29.2502, -17.1376, 10.0159)
C (-18.3647, 3.1889, 1.2921)
C (-27.8436, -14.8426, 14.3063)
C (-19.3728, -17.0365, 9.1862)
C (-19.7306, 0.0052, -0.2348)
C (-29.4800, -2.1907, 7.0118)
C (-30.3249, -2.7031, 9.2272)
C (-27.1764, -13.6009, 16.2720)
C (-29.8227, 0.0857, 5.9606)
C (-27.5363, -12.4065, 15.7103)
C (-29.6956, -3.1104, 8.0790)
C (-20.8689, -2.1982, -0.7319)
C (-31.0854, 1.8056, 7.3585)
C (-18.9567, -15.9744, 9.9871)
C (-21.0026, -20.5646, 7.4509)
C (-28.0684, -16.1535, 13.5650)
C (-31.5335, 0.6851, 8.2722)
C (-21.2853, -18.0551, 7.8644)
C (-18.4362, -20.6514, 8.5127)
C (-21.4213, -15.7385, 8.7016)
C (-18.5919, 2.1758, 0.4318)
H (-26.8443, -13.6564, 17.2981)
H (-19.4980, -14.1015, 10.9044)
H (-17.5238, -20.6171, 9.0896)
H (-19.1039, 3.2804, 2.0741)
H (-28.4319, -9.4338, 4.1975)
H (-26.9925, -15.7363, 16.1019)
H (-21.4770, -3.0668, -0.5264)
H (-27.5694, -11.4525, 16.2154)
H (-22.3441, -15.7114, 8.1412)
H (-31.5319, 3.4375, 8.8275)
H (-30.3885, -3.3629, 10.0798)
H (-16.0560, 2.7668, -1.7476)
H (-28.9449, 2.4123, 4.8534)
H (-28.5413, -18.2692, 11.7376)
H (-29.8585, -15.7568, 8.4632)
H (-18.0108, -15.8116, 10.4822)
H (-31.5410, -1.2044, 10.1694)
H (-28.7296, -2.3665, 6.2551)
H (-17.0866, 4.9652, 1.7713)
H (-27.9633, -11.4227, 13.8841)
H (-29.2825, -13.8515, 9.6777)
H (-29.5682, 4.6630, 5.5706)
H (-29.3341, -4.1268, 8.1316)
H (-15.5973, 4.5542, -0.1189)
This near-obsessive need to stay connected is one of the drivers behind a new category of electronics, known collectively as wearables. This past spring, online retailer Amazon created a dedicated store for wearable tech. Google has launched a version of its mobile operating system called Android Wear to speed development of these products, and Apple recently launched its own health and fitness-oriented smart watch.
One device seems to embody all of the potential of wearable electronics for both convenience and cyborglike strangeness. Google Glass is a wirelessly connected, voice-controlled, head-mounted computer that displays search results, navigation directions and even recipes in the user’s peripheral vision. This spring, the company started offering Glass for $1,500. Consumer Reports bought a pair, and its testers have been using and evaluating it ever since.
If Google’s soft launch of Glass was intended to warm the general public to a new product category, the plan may have backfired. Many people found a head-mounted computer with a front-facing camera goofy looking — and more than a bit creepy. Soon, late-night comics were making jokes about it, and some restaurants and movie theaters were banning Google Glass from their premises. Google’s experiment had become a phenomenon that brought up all kinds of questions about privacy and the etiquette of wearable technology before most consumers could even get their hands on the device.
Glass syncs via Bluetooth to a smartphone; it then uses that connection or Wi-Fi to connect to the Internet. A small boom that extends from the frame contains a 5-megapixel camera and a viewfinder that sits just above the right eye. Once you set up the device using the MyGlass app and website, you can use Glass with voice commands to make calls, get verbal and visual directions, check your social networks, take photos and videos, listen to music and run a variety of apps — all while leaving your phone tucked away in your pocket.
Wearing a computer on your face takes a bit of getting used to. Glass feels heavy after a while, and if you already wear eyeglasses, you’ll either have to put up with the device on top of them or buy Glass with prescription lenses. You’ll also need to get used to a whole new user interface. Typing? Never happens. Instead, you tap the touchpad on the frame or tilt your head backward to wake Glass up. You’ll see a screen displaying the time and the words “OK, Glass.” Say “OK, Glass” out loud or tap on the touchpad. You can then choose from a list of voice commands that scroll down the screen (new ones are added as you install apps) or tap and swipe your way through the menus.
28
Properties=species:S:1:pos:R:3:nbo_charge:R:1 method="wB97M-V/def2-TZVPD" homo_energy_ev=-14.9 orbital_gap_ev=5.7211 spin_multiplicity=1 charge=+2
O 0.056 -3.199 -3.560 -0.304
C 0.022 -2.050 -3.559 0.304
Zn -0.014 -0.150 -3.593 1.422
O -2.653 -0.159 -6.761 -0.374
C -1.918 -0.169 -5.887 0.440
C 1.907 -0.158 -3.856 0.338
O 3.040 -0.155 -4.054 -0.274
C 0.014 1.729 -3.499 0.347
O 0.059 2.875 -3.483 -0.280
C -2.466 0.708 1.276 -0.418
N -1.057 0.239 1.109 -0.307
C -0.475 -0.222 -0.044 0.250
Se -1.415 -0.482 -1.625 -0.257
N 0.817 -0.566 0.318 -0.527
C 1.047 -0.323 1.675 0.174
C 2.175 -0.534 2.458 -0.226
C 2.013 -0.185 3.793 -0.164
C 0.827 0.328 4.309 -0.171
C -0.306 0.537 3.526 -0.191
C -0.139 0.191 2.183 0.086
H -2.472 1.742 1.627 0.241
H -2.985 0.089 2.009 0.245
H -2.984 0.651 0.329 0.236
H 1.497 -0.970 -0.329 0.429
H 3.041 -0.935 1.988 0.238
H 2.866 -0.334 4.439 0.250
H 0.749 0.581 5.358 0.251
H -1.248 0.921 3.855 0.245

~~~~~

Entry 1:
The following is a DFT calculation (the ωB97M-V functional and the def2-TZVPD basis) of a 14-piece molecular cluster, H27O17S overall.

Energy relative to the best compared isomer or geometry (same formula, charge and spin) ... 8.40 kcal per mole
Kohn-Sham gap ... 8.78 eV
M ... 331.3 g mol⁻¹

The geometry in ORCA input format:
```
! wB97M-V def2-TZVPD RIJCOSX def2/J DEFGRID3
* xyz -1 1
O -1.99 -2.80 0.27
H -3.01 -2.79 0.25
H -1.68 -1.92 0.00
H -1.67 -3.18 1.15
S 0.07 0.31 -0.24
O -0.20 1.21 -1.35
O 1.17 -0.64 -0.47
O 0.37 1.13 0.88
O -1.14 -0.41 -0.04
O 0.05 1.24 -3.86
H 0.88 0.71 -4.06
H -0.12 1.03 -2.85
O 2.72 -2.53 0.37
H 2.10 -1.83 -0.12
H 3.57 -2.26 0.29
O 2.25 2.01 2.15
H 1.83 2.84 2.34
H 1.53 1.52 1.63
O 0.55 -0.09 3.35
H 0.61 0.37 2.57
H 1.15 0.49 3.92
O -0.98 2.55 2.62
H -1.49 3.06 1.92
H -0.50 2.08 1.97
O -3.15 0.06 1.27
H -3.07 -0.24 2.19
H -2.20 -0.09 0.85
O -2.84 -1.06 -1.85
H -2.17 -0.62 -1.36
H -2.55 -1.19 -2.72
O -2.53 2.37 -2.09
H -3.09 1.83 -2.67
H -1.69 1.88 -1.83
O 1.10 -1.93 -2.80
H 0.62 -2.62 -2.57
H 1.41 -1.43 -2.10
O 0.55 -3.79 1.23
H 1.31 -3.20 0.85
H 1.12 -4.30 1.90
O 0.30 3.72 -0.97
H 0.25 2.79 -1.20
H 0.70 4.02 -0.04
O 3.66 0.52 0.25
H 2.86 0.03 -0.07
H 3.33 1.12 1.04
*
```

Entry 2:
The following is a DFT calculation (the ωB97M-V functional and the def2-TZVPD basis) of C17H24AuClIN5O2 as an isolated structure.

Energy relative to the best compared isomer or geometry (same formula, charge and spin) ... 0.60 kcal per mole
Kohn-Sham gap ... 4.92 eV
M ... 689.7 g mol⁻¹

The geometry in ORCA input format:
```
! wB97M-V def2-TZVPD RIJCOSX def2/J DEFGRID3
* xyz 2 1
Au 0.49 -1.25 1.81
Cl 1.98 -1.98 -5.31
C 1.51 -2.08 -3.71
C 0.44 -2.95 -3.41
C -0.02 -3.08 -2.14
I -1.57 -4.29 -1.66
C 0.63 -2.31 -1.02
O 0.25 -2.50 0.11
C 1.76 -1.38 -1.38
N 2.33 -0.73 -0.40
C 3.35 0.08 -0.68
C 3.83 0.27 -1.97
C 3.25 -0.42 -3.01
C 2.18 -1.29 -2.72
H -0.01 -3.50 -4.23
H 3.80 0.59 0.16
H 4.66 0.95 -2.15
H 3.61 -0.31 -4.02
C -4.21 0.60 -1.58
N -2.97 0.16 -0.96
C -2.91 0.07 0.50
C -1.88 -0.08 -1.67
O -0.78 -0.37 -1.18
Consumer Reports testers found that it took some time to learn the gestures, but eventually they became second nature. It was more difficult getting used to the display, which appears to float in the air above your right eye. You can swivel the screen to improve the viewing experience, but at any angle, testers noticed a faint double image when text was being displayed and found it difficult to read in bright sunlight.
Wearable tech is still in its early days. As computing power migrates into our clothing, jewelry and, yes, our eyeglasses, engineers are certain to come up with lighter-weight, more convenient mobile technologies for delivering text messages, serving up timely data and possibly targeting us with location-specific ads. You won’t have to pull out your phone to see the incoming information — and it won’t be as easy to ignore it.